Python 实现 FTP 上传、下载文件
- Python
- 2016-04-18
- 165热度
- 0评论
Python 中,可以使用 ftplib 模块的 FTP 对象来实现 FTP 客户端功能。API 的主要用法如下:
# 例:FTP编程 from ftplib import FTP ftp = FTP() timeout = 30 port = 21 ftp.connect('',port,timeout) # 连接FTP服务器 ftp.login('UserName','888888') # 登录 print ftp.getwelcome() # 获得欢迎信息 ftp.cwd('file/test') # 设置FTP路径 list = ftp.nlst() # 获得目录列表 for name in list: print(name) # 打印文件名字 path = 'd:/data/' + name # 文件保存路径 f = open(path,'wb') # 打开要保存文件 filename = 'RETR ' + name # 保存FTP文件 ftp.retrbinary(filename,f.write) # 保存FTP上的文件 ftp.delete(name) # 删除FTP文件 ftp.storbinary('STOR '+filename, open(path, 'rb')) # 上传FTP文件 ftp.quit() # 退出FTP服务器
1.
NdSm2S, optimized geometry, DFT PBE; energy relative to the lowest polymorph listed for this composition = 0.004 eV/atom; E_tot = -5.5078 eV/atom; raw formation energy = -0.924 eV/atom
1.0
3.8059 0.0000 0.0000
1.9030 3.2960 0.0000
1.9030 1.0987 9.5862
Nd Sm S
1 2 1
Direct
0.5000 0.5000 0.5000
0.7277 0.7277 0.8169
0.2723 0.2723 0.1831
0.0000 0.0000 0.0000



2.
PRu3S, optimized geometry, DFT PBE; energy relative to the lowest polymorph listed for this composition = 0.000 eV/atom; E_tot = -6.7054 eV/atom; raw formation energy = 0.768 eV/atom
1.0
4.3337 0.0000 0.0000
0.0000 4.3337 0.0000
0.0000 0.0000 4.3337
P Ru S
1 3 1
Direct
0.5000 0.5000 0.5000
0.5000 0.0000 0.0000
0.0000 0.0000 0.5000
0.0000 0.5000 0.0000
0.0000 0.0000 0.0000

* * * * *

Record 1
GaPF | PBE-GGA | relaxed

POSCAR file:
```
GaPF
1.0
-2.001 3.680 3.459
2.001 -3.680 3.459
2.001 3.680 -3.459
Ga P F
2 2 2
direct
0.242 0.000 0.242
0.758 0.000 0.758
0.019 0.671 0.349
0.322 0.671 0.651
0.598 0.098 0.500
0.864 0.864 0.000
```

## Properties
* relative energy among the computed polymorphs: 0.000 eV/atom
* uncorrected energy: -4.69 eV per atom
* calculated volume: 16.98 Å³/atom
* E_form (uncorrected): -3.75 eV/f.u.
* space-group type: Imm2 (44)

Record 2
CsBa2TaZn | PBE-GGA | relaxed

POSCAR file:
```
CsBa2TaZn
1.0
6.345 0.000 0.000
0.000 6.345 0.000
0.000 0.000 5.440
Cs Ba Ta Zn
1 2 1 1
direct
0.000 0.000 0.000
0.000 0.500 0.000
0.500 0.000 0.000
0.500 0.500 0.500
0.000 0.000 0.500
```

## Properties
* ΔH_f (0 K): 1726 meV/atom
* uncorrected energy: -1.84 eV per atom
* calculated volume: 43.80 Å³/atom
* space-group type: P4/mmm (123)

Record 3
TbTm2UN4 | PBE-GGA | relaxed

POSCAR file:
```
TbTm2UN4
1.0
5.930 0.000 0.000
0.000 3.430 0.000
-1.936 0.000 5.619
Tb Tm U N
1 2 1 4
direct
0.000 0.000 0.000
0.500 0.000 0.500
0.500 0.500 0.000
0.000 0.500 0.500
0.245 0.500 0.265
0.249 0.000 0.743
0.751 0.000 0.257
0.755 0.500 0.735
```

## Properties
* uncorrected energy: -8.92 eV per atom
* calculated volume: 14.28 Å³/atom
* E_form (uncorrected): -13.23 eV/f.u.
* space-group type: P2/m (10)

Question: Number 1 is which compound?
Answer: GaPF

Question: Which formula does entry 3 have?
Answer: TbTm2UN4

Question: Which value of uncorrected energy does entry 1 give?
Answer: -4.69 eV per atom

Question: uncorrected energy of number 2 (CsBa2TaZn)?
Answer: -1.84 eV per atom

* * * * *

Here is a PBEsol-optimized structure of ZrAsRu2 from the Alexandria database. Energies are from meta-GGA SCAN.

Summary:
- SG = Pmm2 (25)
- ΔH_f (0 K) (meV per atom) = -330
- DOS(E_F) (states/eV/cell) = 2.75

abc: 3.0906 3.8617 5.2344
angles: 90.00 90.00 90.00
Fractional positions:
Ru: 0.0000 0.0000 0.9619
Ru: 0.5000 0.5000 0.2690
As: 0.5000 0.5000 0.7912
Zr: 0.0000 0.0000 0.4779

=====

Here is a PBEsol-optimized structure of SiNiTeOs2 from the Alexandria database. Energies are from meta-GGA SCAN.

Summary:
- SG = P4/mmm (123)
- DOS(E_F) (states/eV/cell) = 3.69
#!/usr/bin/env python # coding: utf-8 import os import ftplib import socket # 上传指定文件到 ftp 服务器 def uploadFile(dir_ftp, filename_ftp, filepath_local, host, port, username, password): """ 参数说明: * dir_ftp: 在 ftp 服务器上存储文件的路径; * filename_ftp: 存储到 ftp 服务器上的文件名; * filepath_local: 需要上传的本地源文件路径; * host: ftp 服务器地址(ip/域名); * port: ftp 服务器端口号,一般是 21; * username、password: 登陆 ftp 服务器时的用户名和密码。 """ if not os.path.exists(filepath_local): print '找不到指定的源文件,请检查路径配置。' return False # connect try: f = ftplib.FTP() f.connect(host=host, port=port) except (socket.error, socket.gaierror), e: print '----ERROR:cannot reach ' + host print e return False # login try: f.login(user=username, passwd=password) except ftplib.error_perm, e: print '----ERROR:cannot login to server ' + host print e f.quit() return False print '****Logged in as ' + username + ' to server ' +host # change folder try: f.cwd(dir_ftp) except ftplib.error_perm, e: print '----ERROR:cannot CD to %s on %s' % (dir_ftp, host) print e f.quit() return False print '**** changed to %s folder on %s' % (dir_ftp, host) # upload file try: f.storbinary('STOR ' + filename_ftp, open(filepath_local, 'rb')) except ftplib.error_perm, e: print '----ERROR:cannot write %s on %s' % (filename_ftp, host) print e return False else: print '****Uploaded '+ filepath_local +' to '+ host +' as '\ + os.path.join(dir_ftp, filename_ftp) f.quit() return True # 登陆 ftp 服务器下载文件(保存到当前目录) def getServerFile(dir_ftp, filename, host, port, username, password): """ 参数说明: * dir_ftp: 目标文件在 ftp 服务器上路径; * filename: 目标文件名; * host: ftp 服务器地址(ip/域名); * port: ftp 服务器端口号,一般是 21; * username、password: 登陆 ftp 服务器时的用户名和密码。 """ if os.path.exists(filename): print '****the file '+ filename +' has already exist! The file will be over writed' # connect try: f = ftplib.FTP() f.connect(host=host, port=port) except (socket.error, socket.gaierror), e: print '----ERROR:cannot reach ' + host print e return False # login try: f.login(user=username, passwd=password) except ftplib.error_perm, e: print '----ERROR:cannot login to server ' + host print e f.quit() return False print '****Logged in as ' + username + ' to server ' +host # change folder try: f.cwd(dir_ftp) except ftplib.error_perm, e: print '----ERROR:cannot CD to %s on %s' % (dir_ftp, host) print e f.quit() return False print '**** changed to %s folder on %s' % (dir_ftp, host) # get file try: f.retrbinary('RETR %s' % filename, open(filename, 'wb').write) except ftplib.error_perm, e: print '----ERROR:cannot read file %s on %s' % (filename, host) print e os.unlink(filename) return False else: print '****Downloaded '+ filename +' from '+ host +' to ' + os.getcwd() f.quit() return True if __name__ == "__main__": # 下载 getServerFile("/ftptest", "words.txt", "", 21, "zhangsan", "iloveu") # 上传 uploadFile("/ftptest", "upload_demo.txt", "words.txt", "", 21, "zhangsan", "iloveu") print '****done'